[Source]
The following is a PBE calculation of a relaxed Zr3ScV crystal, from the Alexandria database.

The size of the total moment is 3.17 μB/f.u. The formation energy is 1.349 eV/atom.

It has space group Pm-3m (No. 221), with a = 4.987 Å, b = 4.987 Å, c = 4.987 Å, α = 90.00°, β = 90.00° and γ = 90.00°. The inequivalent atoms are Zr at (0.000, 0.000, 0.500), Sc at (0.000, 0.000, 0.000) and V at (0.500, 0.500, 0.500).



The following is a PBE calculation of a relaxed Sr2ScAl crystal, from the Alexandria database.

The size of the total moment is 0.00 μB/f.u. The formation energy is 0.184 eV/atom.

It has space group I-4m2 (No. 119), with a = 5.609 Å, b = 5.609 Å, c = 7.874 Å, α = 90.00°, β = 90.00° and γ = 90.00°. The inequivalent atoms are Sr at (0.000, 0.000, 0.000), Sr at (0.000, 0.500, 0.250), Sc at (0.000, 0.500, 0.750) and Al at (0.000, 0.000, 0.500).



The following is a PBE calculation of a relaxed K2TlGaSe4 crystal, from the Alexandria database.

Its formation energy without anion corrections is -0.79 eV per atom. The size of the total moment is 0.00 μB/f.u.

It has space group I-4 (No. 82), with a = 7.533 Å, b = 7.533 Å, c = 9.303 Å, α = 90.00°, β = 90.00° and γ = 90.00°. The inequivalent atoms are K at (0.000, 0.000, 0.000), K at (0.000, 0.500, 0.250), Tl at (0.000, 0.500, 0.750), Ga at (0.000, 0.000, 0.500) and Se at (0.173, 0.231, 0.618).



| no. | final energy (eV/atom) |
| --- | --- |
| 1 | -6.8703 |
| 2 | -3.1750 |
| 3 | -3.4759 |

[Job]
Your job: copy all of the data further above without altering anything.

[Response]
The following is a PBE calculation of a relaxed Zr3ScV crystal, from the Alexandria database.

The size of the total moment is 3.17 μB/f.u. The formation energy is 1.349 eV/atom.

It has space group Pm-3m (No. 221), with a = 4.987 Å, b = 4.987 Å, c = 4.987 Å, α = 90.00°, β = 90.00° and γ = 90.00°. The inequivalent atoms are Zr at (0.000, 0.000, 0.500), Sc at (0.000, 0.000, 0.000) and V at (0.500, 0.500, 0.500).



The following is a PBE calculation of a relaxed Sr2ScAl crystal, from the Alexandria database.

The size of the total moment is 0.00 μB/f.u. The formation energy is 0.184 eV/atom.

It has space group I-4m2 (No. 119), with a = 5.609 Å, b = 5.609 Å, c = 7.874 Å, α = 90.00°, β = 90.00° and γ = 90.00°. The inequivalent atoms are Sr at (0.000, 0.000, 0.000), Sr at (0.000, 0.500, 0.250), Sc at (0.000, 0.500, 0.750) and Al at (0.000, 0.000, 0.500).



The following is a PBE calculation of a relaxed K2TlGaSe4 crystal, from the Alexandria database.

Its formation energy without anion corrections is -0.79 eV per atom. The size of the total moment is 0.00 μB/f.u.

It has space group I-4 (No. 82), with a = 7.533 Å, b = 7.533 Å, c = 9.303 Å, α = 90.00°, β = 90.00° and γ = 90.00°. The inequivalent atoms are K at (0.000, 0.000, 0.000), K at (0.000, 0.500, 0.250), Tl at (0.000, 0.500, 0.750), Ga at (0.000, 0.000, 0.500) and Se at (0.173, 0.231, 0.618).



| no. | final energy (eV/atom) |
| --- | --- |
| 1 | -6.8703 |
| 2 | -3.1750 |
| 3 | -3.4759 |